**Entries:**
┌──
[1]
# C10H30AlO22S3Y

A structure of composition C10H30AlO22S3Y at a distorted geometry (the ωB97M-V functional and the def2-TZVPD basis, the Open Molecules 2025 dataset).

```
67
Properties=species:S:1:pos:R:3:forces:R:3:mulliken_spin:R:1
Y -3.1140 -0.1064 -0.7833 0.974 2.060 -0.845 0.0002
Al -1.6808 3.3948 1.9456 0.114 -0.880 -1.363 -0.0017
S -0.3022 0.4785 -0.2540 0.006 2.524 2.004 -0.0103
O -1.3042 -0.0554 0.6051 -2.233 -2.786 4.444 0.0042
O -1.0285 0.4229 -1.4651 -1.089 -1.011 -6.849 -0.0003
O -0.1805 1.8784 0.0947 1.744 1.652 1.131 0.0006
O 0.9111 -0.2882 -0.1926 1.472 0.080 -0.255 0.0007
S -3.6750 2.5405 -1.7844 -5.886 3.407 -0.277 -0.0009
O -4.8654 3.4297 -1.6723 1.668 -1.075 0.523 -0.0001
O -2.7088 3.0695 -2.6382 3.550 2.105 -2.379 0.0000
O -3.1311 2.1578 -0.4874 1.323 -0.498 3.666 0.0004
O -4.1009 1.2512 -2.3207 -1.061 -3.624 -0.874 0.0001
S -3.7226 0.0282 2.6606 -0.903 -0.056 -2.122 -0.0864
O -5.1524 0.1332 2.9695 -0.323 -0.137 1.416 0.4579
O -3.0387 1.2308 3.0250 0.687 2.104 0.395 0.2724
O -3.0681 -1.0535 3.3297 0.101 -1.739 1.488 0.3736
O -3.6912 -0.2159 1.2170 -0.989 -0.231 0.245 -0.0103
C 3.3006 -2.7001 -0.5798 0.247 -1.008 -0.975 0.0000
C 2.0242 -3.5253 -0.7943 0.367 -0.066 0.881 0.0000
O 0.9347 -2.8582 -0.2154 -0.792 -1.160 0.310 -0.0001
O 3.0444 -1.4469 -1.1323 0.456 0.104 -0.228 0.0000
H 4.0886 -3.1779 -1.1619 0.265 0.004 -0.016 0.0000
H 3.6722 -2.5697 0.4365 -0.379 -0.468 0.404 0.0000
H 2.0325 -4.5076 -0.3219 0.332 -0.078 0.156 0.0000
H 1.8850 -3.7101 -1.8594 0.027 0.265 -0.298 0.0000
H 0.8382 -1.9469 -0.5014 -0.164 0.311 -0.280 0.0000
H 2.2692 -1.1854 -0.6301 0.089 1.211 -0.389 0.0000
C 0.4933 4.2009 -2.8237 1.185 -0.956 2.507 0.0000
C -0.1309 5.2263 -1.8314 -0.160 -0.269 -0.591 0.0000
O -1.1282 4.6114 -1.0055 0.987 0.751 0.315 -0.0002
O 0.9618 3.0230 -2.0662 -0.591 1.143 -1.432 0.0000
H 1.4798 4.4842 -3.1907 -0.441 0.899 -0.602 0.0000
H -0.2320 3.9941 -3.6106 0.059 -0.407 0.006 0.0000
H -0.6020 6.0103 -2.4241 -0.110 0.228 -0.179 0.0000
H 0.5812 5.7395 -1.1852 0.230 -0.447 0.072 0.0000
H -1.8424 4.3831 -1.6050 -0.539 -0.672 -0.306 0.0000
H 0.3418 2.8501 -1.3540 -0.492 -0.113 0.263 0.0000
C 3.8863 1.3329 0.6784 0.295 -1.564 -4.066 0.0000
C 4.7031 1.5675 1.8883 -1.454 1.824 -0.411 0.0000
O 3.8827 1.3783 2.9893 0.038 -0.617 1.973 0.0000
O 2.8477 2.2366 0.2713 0.952 0.598 1.635 0.0000
H 3.5082 0.3298 0.4813 -0.142 -0.362 1.153 0.0000
H 4.5893 1.3210 -0.1545 0.545 0.454 -0.334 0.0000
H 4.9147 2.6350 1.8269 0.629 0.423 0.045 0.0000
H 5.6617 1.0500 1.9254 -0.399 -0.474 0.075 0.0000
H 3.0001 1.6391 2.7159 -0.188 -0.037 0.040 0.0000
H 2.0419 1.7568 0.0659 -0.120 -0.109 0.052 -0.0001
C 1.0843 -3.3928 3.5771 2.287 0.648 -0.651 0.0001
C 0.4288 -2.1804 2.9145 0.506 -0.033 -0.939 0.0027
O 1.3787 -1.1757 2.4737 0.263 -0.629 1.621 0.0000
O 1.9600 -3.0309 4.6659 -1.187 -0.112 0.598 0.0000
H 1.8459 -3.7810 2.9008 -0.445 -0.232 -1.013 -0.0001
H 0.4397 -4.2502 3.7708 -0.338 0.472 0.661 0.0000
H -0.2564 -1.6605 3.5841 -0.270 -0.247 -0.133 -0.0044
H -0.0149 -2.5994 2.0113 -0.712 0.247 0.147 0.0010
H 1.4340 -1.0680 1.5214 -0.500 -0.317 -0.159 -0.0002
H 2.2987 -2.1835 4.3679 0.318 0.317 0.089 0.0000
C -2.5180 -2.3622 -2.7649 -1.112 0.216 -0.385 0.0000
C -3.2705 -3.0800 -1.6477 0.419 0.042 0.502 -0.0001
O -2.9974 -2.4311 -0.3938 0.343 -0.182 -0.141 0.0015
O -3.3441 -1.1364 -2.9483 1.313 -1.986 -0.008 0.0000
H -2.4732 -2.9480 -3.6830 -0.560 -0.107 -0.031 0.0000
H -1.4691 -2.1159 -2.5995 -0.083 0.264 0.734 0.0000
H -3.0167 -4.1253 -1.4712 -0.116 -0.071 -0.772 0.0000
H -4.3361 -2.8805 -1.7603 -0.095 -0.792 -0.794 0.0000
H -3.0261 -3.1084 0.2858 0.146 0.473 0.453 -0.0003
H -3.3423 -0.9276 -3.8853 -0.066 0.729 0.096 0.0000
```
Forces are in eV/Å.

Output
multiplicity = 2
HOMO energy (spin up / spin down) = -0.222 / -0.222 hartree
expectation value of S² = 0.76
charge = -1

***

[2]
# C10H30ClO9S5
└──

**What to do:**
Repeat the calculation results above from the line with "[1]" to the end without additions.

**Reply:**
[1]
# C10H30AlO22S3Y

A structure of composition C10H30AlO22S3Y at a distorted geometry (the ωB97M-V functional and the def2-TZVPD basis, the Open Molecules 2025 dataset).

```
67
Properties=species:S:1:pos:R:3:forces:R:3:mulliken_spin:R:1
Y -3.1140 -0.1064 -0.7833 0.974 2.060 -0.845 0.0002
Al -1.6808 3.3948 1.9456 0.114 -0.880 -1.363 -0.0017
S -0.3022 0.4785 -0.2540 0.006 2.524 2.004 -0.0103
O -1.3042 -0.0554 0.6051 -2.233 -2.786 4.444 0.0042
O -1.0285 0.4229 -1.4651 -1.089 -1.011 -6.849 -0.0003
O -0.1805 1.8784 0.0947 1.744 1.652 1.131 0.0006
O 0.9111 -0.2882 -0.1926 1.472 0.080 -0.255 0.0007
S -3.6750 2.5405 -1.7844 -5.886 3.407 -0.277 -0.0009
O -4.8654 3.4297 -1.6723 1.668 -1.075 0.523 -0.0001
O -2.7088 3.0695 -2.6382 3.550 2.105 -2.379 0.0000
O -3.1311 2.1578 -0.4874 1.323 -0.498 3.666 0.0004
O -4.1009 1.2512 -2.3207 -1.061 -3.624 -0.874 0.0001
S -3.7226 0.0282 2.6606 -0.903 -0.056 -2.122 -0.0864
O -5.1524 0.1332 2.9695 -0.323 -0.137 1.416 0.4579
O -3.0387 1.2308 3.0250 0.687 2.104 0.395 0.2724
O -3.0681 -1.0535 3.3297 0.101 -1.739 1.488 0.3736
O -3.6912 -0.2159 1.2170 -0.989 -0.231 0.245 -0.0103
C 3.3006 -2.7001 -0.5798 0.247 -1.008 -0.975 0.0000
C 2.0242 -3.5253 -0.7943 0.367 -0.066 0.881 0.0000
O 0.9347 -2.8582 -0.2154 -0.792 -1.160 0.310 -0.0001
O 3.0444 -1.4469 -1.1323 0.456 0.104 -0.228 0.0000
H 4.0886 -3.1779 -1.1619 0.265 0.004 -0.016 0.0000
H 3.6722 -2.5697 0.4365 -0.379 -0.468 0.404 0.0000
H 2.0325 -4.5076 -0.3219 0.332 -0.078 0.156 0.0000
H 1.8850 -3.7101 -1.8594 0.027 0.265 -0.298 0.0000
H 0.8382 -1.9469 -0.5014 -0.164 0.311 -0.280 0.0000
H 2.2692 -1.1854 -0.6301 0.089 1.211 -0.389 0.0000
C 0.4933 4.2009 -2.8237 1.185 -0.956 2.507 0.0000
C -0.1309 5.2263 -1.8314 -0.160 -0.269 -0.591 0.0000
O -1.1282 4.6114 -1.0055 0.987 0.751 0.315 -0.0002
O 0.9618 3.0230 -2.0662 -0.591 1.143 -1.432 0.0000
H 1.4798 4.4842 -3.1907 -0.441 0.899 -0.602 0.0000
H -0.2320 3.9941 -3.6106 0.059 -0.407 0.006 0.0000
H -0.6020 6.0103 -2.4241 -0.110 0.228 -0.179 0.0000
H 0.5812 5.7395 -1.1852 0.230 -0.447 0.072 0.0000
H -1.8424 4.3831 -1.6050 -0.539 -0.672 -0.306 0.0000
H 0.3418 2.8501 -1.3540 -0.492 -0.113 0.263 0.0000
C 3.8863 1.3329 0.6784 0.295 -1.564 -4.066 0.0000
C 4.7031 1.5675 1.8883 -1.454 1.824 -0.411 0.0000
O 3.8827 1.3783 2.9893 0.038 -0.617 1.973 0.0000
O 2.8477 2.2366 0.2713 0.952 0.598 1.635 0.0000
H 3.5082 0.3298 0.4813 -0.142 -0.362 1.153 0.0000
H 4.5893 1.3210 -0.1545 0.545 0.454 -0.334 0.0000
H 4.9147 2.6350 1.8269 0.629 0.423 0.045 0.0000
H 5.6617 1.0500 1.9254 -0.399 -0.474 0.075 0.0000
H 3.0001 1.6391 2.7159 -0.188 -0.037 0.040 0.0000
H 2.0419 1.7568 0.0659 -0.120 -0.109 0.052 -0.0001
C 1.0843 -3.3928 3.5771 2.287 0.648 -0.651 0.0001
C 0.4288 -2.1804 2.9145 0.506 -0.033 -0.939 0.0027
O 1.3787 -1.1757 2.4737 0.263 -0.629 1.621 0.0000
O 1.9600 -3.0309 4.6659 -1.187 -0.112 0.598 0.0000
H 1.8459 -3.7810 2.9008 -0.445 -0.232 -1.013 -0.0001
H 0.4397 -4.2502 3.7708 -0.338 0.472 0.661 0.0000
H -0.2564 -1.6605 3.5841 -0.270 -0.247 -0.133 -0.0044
H -0.0149 -2.5994 2.0113 -0.712 0.247 0.147 0.0010
H 1.4340 -1.0680 1.5214 -0.500 -0.317 -0.159 -0.0002
H 2.2987 -2.1835 4.3679 0.318 0.317 0.089 0.0000
C -2.5180 -2.3622 -2.7649 -1.112 0.216 -0.385 0.0000
C -3.2705 -3.0800 -1.6477 0.419 0.042 0.502 -0.0001
O -2.9974 -2.4311 -0.3938 0.343 -0.182 -0.141 0.0015
O -3.3441 -1.1364 -2.9483 1.313 -1.986 -0.008 0.0000
H -2.4732 -2.9480 -3.6830 -0.560 -0.107 -0.031 0.0000
H -1.4691 -2.1159 -2.5995 -0.083 0.264 0.734 0.0000
H -3.0167 -4.1253 -1.4712 -0.116 -0.071 -0.772 0.0000
H -4.3361 -2.8805 -1.7603 -0.095 -0.792 -0.794 0.0000
H -3.0261 -3.1084 0.2858 0.146 0.473 0.453 -0.0003
H -3.3423 -0.9276 -3.8853 -0.066 0.729 0.096 0.0000
```
Forces are in eV/Å.

Output
multiplicity = 2
HOMO energy (spin up / spin down) = -0.222 / -0.222 hartree
expectation value of S² = 0.76
charge = -1

***

[2]
# C10H30ClO9S5